Around the World
A’s win division series…finally.
1 min read
First time since 1992…it's about time. Now if only the Raiders would get their act together. *Edit (Oct. 7, 2006): I saw this today on the SFist… Niner Fans–The kind of football fans who drink wine before games Raider Fans–The kind of football fans who are usually associated with the words "out on parole" Conclusion–Raiders…
30 Days of Prayer for the Muslim World
1 min read
With all the things going on in the world, the least we can do as Christians is to pray. There’s a 30 day prayer focus for the Muslim world. You can pray for Muslims through the 30 days of Ramadan or you can sign up for the free email version. It’s day 2 already, but…
Oakland Athletics
1 min read
I missed most of the season ‘cuz I was out of the country. Where are you, $2 Wednesdays and dollar dogs? Check out some great skateboarding photography, but don’t miss his large format polaroid work.
Coffee Don Tots at KFC
1 min read
That’s right, coffee don tots at KFC in China. So what do they taste like? Exactly what the name says– coffee don tot. It’s just weird. I definitely prefer the original, but it was interesting to try.
Summer 06
1 min read
I’m back here in HK again. The heat and humidity is a bit nostalgic. I’ve been able to email at the terminals in the library, but haven’t been able to upload pictures just yet. Will try using my teammate’s laptop once we get into CN. Apparently, we’re supposed to have internet access in our hotel…
Chinese on vacation
1 min read
This was a scene at a water park in China during their May holiday. And I’m going WHERE this summer??? Good luck to me… Check out more crazy crowd pictures here.
Earl Woods passed away
1 min read
Tiger Woods’ father dies at 74.
Nay mm ho mo han ge mo han gut ah ha!
1 min read
ä½ å””å¥½å–ºåº¦å½å½å’å’啊下! Should I be learning Chinese like that?
China’s Tallest Woman
1 min read
Check out these pics. She’s 7’9″ while Yao Ming is a mere 7’5″.
2 min read
CenSEARCHip – A neat project at the Indiana School of Informatics compares Google US and CN for the same search. From the about page: When you click the "Web Search" button, each side of the display will first show you an estimate of how many English-language results the search engine has for that national version.…
The Truth About Barry Bonds
1 min read
If Barry Bonds had been the most loved man in baseball, the truth about his steroid use would be an enourmous and damaging scandal. Of course, most people don’t like him too much, so it will be a lot worse.
Free Starbucks coffee
1 min read
How I do LOVE coffee, especially when it’s FREE!
My own Operation Rice Bowl
3 min read
The World Bank defines poverty as living on less than $2 a day and extreme poverty as living on less than $1 a day. During Lent, I’ve decided
Beautiful China
1 min read
Some incredibly beautiful pictures of China. Sure, they’re post-processed, but they’re absolutely stunning.
WCC debriefing
2 min read
I went to WCC for the very first time evar. It was great to see people I haven’t seen in many many years. I was especially encouraged by the fact that they were still serving after all these years, even if they did go to the same jacked up “Christian” school that I went to…
Upcoming Travel Schedule
3 min read
Update (2/16/06): My friend in BJ said he was able to get on to the AOL site, so it seems that they’re AOK! For my LA trip last week, I rented a car from SFO. While picking up the rental car, the guy directed me to this bright red car (economy size, of course). He…
Golf originated in China?
1 min read
Golf “clearly originated in China.” Add it to the list.
Someone needs to lay off the caffeine
1 min read
Apparently someone tried to blow up a Starbucks today. I hate Starbucks as much as anyone else but sheesh. More info.
Blocking of Wikipedia in mainland China
1 min read
The nanny strikes again. The free online encyclopedia Wikipedia is blocked in China
Mayor of New Orleans interview
**Data records from another source follow**
-- begin --
(1)
{
  "formula": "C4H12NO2S",
  "method": "ωB97M-V/def2-TZVPD",
  "e_homo_ev": -2.37,
  "e_above_lowest_ev": 1.815,
  "multiplicity": 1,
  "orbital_gap_ev": 5.8,
  "total_charge": -1,
  "elements": ["C", "N", "C", "C", "S", "C", "O", "H", "H", "H", "H", "H", "H", "H", "H", "H", "H", "H", "H", "O"],
  "coordinates": [[0.367383, 1.560640, 1.230000], [0.329245, 0.824005, -0.043287], [-0.181946, -0.509272, -0.073978], [-0.482747, -1.090824, -1.433659], [-2.105794, -1.755227, -1.425360], [0.962917, -1.354935, 0.622141], [0.611227, -2.562495, 1.194202], [1.410987, 1.466322, 1.779453], [0.244066, 2.649107, 1.058276], [-0.472471, 1.233438, 1.835176], [1.060197, 0.947896, -0.613643], [-1.036570, -0.631190, 0.608548], [0.090922, -2.079153, -1.604052], [-0.195979, -0.413335, -2.247307], [0.497038, -3.229528, 0.521542], [1.752727, -1.463778, -0.135276], [1.420692, -0.781408, 1.369808], [-0.657076, 2.559625, -0.922585], [-2.053275, 1.963246, -0.673367], [-1.561542, 2.666869, -1.046633]],
  "forces_ev_per_angstrom": [[2.129, 0.016, -0.457], [-3.550, 1.336, 2.411], [1.979, -1.692, 2.171], [1.200, -1.735, -0.211], [-2.270, -0.292, -0.593], [-0.463, 0.314, -1.952], [-0.047, -0.921, 0.777], [-2.047, -0.072, -0.564], [-0.018, -0.474, 0.027], [0.191, -0.131, 0.267], [3.398, 0.620, -2.322], [-0.042, 0.405, -0.497], [0.160, 1.780, 0.273], [-0.250, 0.143, 0.039], [-0.352, -0.107, -0.385], [0.042, -0.206, -0.160], [0.368, 0.920, 1.466], [2.051, -1.181, 0.545], [-0.124, -1.413, 0.478], [-2.356, 2.690, -1.314]],
  "mulliken_charge": [-0.841, -0.175, 0.194, -0.736, -0.656, -0.967, -0.550, 0.247, 0.310, 0.327, 0.169, 0.231, 0.098, 0.278, 0.324, 0.413, 0.342, 0.338, 0.295, -0.641]
}

=====

(2)
{
  "formula": "C4H12NO3",
  "method": "ωB97M-V/def2-TZVPD",
  "e_homo_ev": -4.06,
  "e_above_lowest_ev": 0.345,
  "multiplicity": 1,
  "orbital_gap_ev": 8.0,
  "total_charge": -1,
  "elements": ["C", "C", "C", "O", "N", "C", "O", "H", "H", "H", "H", "H", "H", "H", "H", "H", "H", "H", "H", "O"],
  "coordinates": [[-1.061185, 0.289756, -0.034777], [-0.216939, 0.723438, -1.277267], [-1.161275, 0.669028, -2.525793], [0.851985, -0.129053, -1.542940], [-0.539457, 0.761697, 1.252301], [0.886030, 0.508659, 1.589230], [1.539482, -0.519556, 0.970710], [-1.195614, -0.797467, -0.140373], [-2.025977, 0.797473, -0.188479], [0.256481, 1.682255, -1.024910], [-2.105365, 1.154173, -2.296930], [-0.515125, 1.135650, -3.277325], [-1.271902, -0.376264, -2.801235], [1.289048, -0.289724, -0.603202], [-1.109333, 0.327291, 1.967029], [0.918575, 0.365175, 2.687990], [1.436772, 1.452969, 1.359658], [0.663746, -2.950352, 2.178043], [1.744177, -1.922276, 1.685939], [1.615875, -2.882870, 2.022332]],
-- stop --
1 min read
Listen to this interview with the Mayor of New Orleans. Pray for that area.